-- Input --
Structure and theoretical XRD peak list of Li3B2SbO6 (a crystal structure in the Materials Project, relaxed with GGA-PBE; Cu Kα X-rays).
Intensities are scaled so that the largest is 100.

Most intense lines, 15° ≤ 2θ ≤ 90°, by angle:
| two_theta | intensity |
| --- | --- |
| 18.38 | 62 |
| 19.31 | 100 |
| 19.61 | 28 |
| 21.16 | 37 |
| 25.79 | 36 |
| 26.98 | 25 |
| 33.61 | 54 |
| 34.11 | 31 |
| 34.97 | 23 |
| 39.87 | 25 |

Cell and atoms:
abc: 5.353 9.053 11.826
angles: 90.00 115.60 90.00
Positions (direct):
Li: 0.018 0.026 0.175
Li: 0.018 0.474 0.675
Li: 0.056 0.653 0.884
Li: 0.056 0.847 0.384
Li: 0.424 0.014 0.595
Li: 0.424 0.486 0.095
Li: 0.576 0.514 0.905
Li: 0.576 0.986 0.405
Li: 0.944 0.153 0.616
Li: 0.944 0.347 0.116
Li: 0.982 0.526 0.325
Li: 0.982 0.974 0.825
B: 0.040 0.171 0.379
B: 0.040 0.329 0.879
B: 0.469 0.172 0.133
B: 0.469 0.328 0.633
B: 0.531 0.672 0.367
B: 0.531 0.828 0.867
B: 0.960 0.671 0.121
B: 0.960 0.829 0.621
Sb: 0.474 0.673 0.626
Sb: 0.474 0.827 0.126
Sb: 0.526 0.173 0.874
Sb: 0.526 0.327 0.374
O: 0.066 0.184 0.844
O: 0.066 0.316 0.344
O: 0.168 0.642 0.082
O: 0.168 0.858 0.582
O: 0.212 0.058 0.378
O: 0.212 0.442 0.878
O: 0.312 0.668 0.400
O: 0.312 0.832 0.900
O: 0.332 0.044 0.140
O: 0.332 0.456 0.640
O: 0.374 0.196 0.664
O: 0.374 0.304 0.164
O: 0.626 0.696 0.836
O: 0.626 0.804 0.336
O: 0.668 0.544 0.360
O: 0.668 0.956 0.860
O: 0.688 0.168 0.100
O: 0.688 0.332 0.600
O: 0.788 0.558 0.122
O: 0.788 0.942 0.622
O: 0.832 0.142 0.418
O: 0.832 0.358 0.918
O: 0.934 0.684 0.656
O: 0.934 0.816 0.156


Structure and theoretical XRD peak list of Nb3Ni (a crystal structure in the Materials Project, relaxed with GGA-PBE; Cu Kα X-rays).
Intensities are scaled so that the largest is 100.

Most intense lines, 15° ≤ 2θ ≤ 90°, by angle:
| two_theta | intensity |
| --- | --- |
| 24.04 | 2 |
| 27.83 | 1 |
| 39.77 | 100 |
| 47.01 | 1 |
| 57.50 | 16 |
| 72.19 | 32 |
| 85.73 | 10 |

Cell and atoms:
abc: 4.533 4.533 4.533
angles: 60.00 60.00 60.00
Positions (direct):
Nb: 0.000 0.000 0.000
Nb: 0.250 0.250 0.250
Nb: 0.750 0.750 0.750
Ni: 0.500 0.500 0.500


Structure and theoretical XRD peak list of HgF2 (a crystal structure in the Materials Project, relaxed with GGA-PBE; Cu Kα X-rays).
Intensities are scaled so that the largest is 100.

Most intense lines, 15° ≤ 2θ ≤ 90°, by angle:
| two_theta | intensity |
| --- | --- |
| 26.59 | 47 |
| 28.68 | 92 |
| 29.98 | 43 |
| 30.60 | 100 |
| 40.50 | 46 |
| 44.30 | 35 |
| 52.43 | 26 |
| 53.62 | 26 |
| 54.41 | 34 |
| 57.09 | 29 |

Cell and atoms:
abc: 5.961 3.773 7.299
angles: 90.00 90.00 90.00
Positions (direct):
Hg: 0.242 0.250 0.107
Hg: 0.258 0.750 0.607
Hg: 0.742 0.250 0.393
Hg: 0.758 0.750 0.893
F: 0.013 0.250 0.836
F: 0.141 0.250 0.420
F: 0.359 0.750 0.920
F: 0.487 0.750 0.336
F: 0.513 0.250 0.664
F: 0.641 0.250 0.080
F: 0.859 0.750 0.580
F: 0.987 0.750 0.164


Structure and theoretical XRD peak list of PbI2 (a crystal structure in the Materials Project, relaxed with GGA-PBE; Cu Kα X-rays).
Intensities are scaled so that the largest is 100.

Most intense lines, 15° ≤ 2θ ≤ 90°, by angle:
| two_theta | intensity |
| --- | --- |
| 24.96 | 100 |
| 32.33 | 53 |
| 38.62 | 49 |
| 40.46 | 19 |
| 42.07 | 26 |
| 46.53 | 19 |
| 51.22 | 15 |
| 62.01 | 16 |
| 63.08 | 23 |
| 65.94 | 14 |

Cell and atoms:
abc: 4.663 4.663 53.260
angles: 90.00 90.00 120.00
Positions (direct):
Pb: 0.000 0.000 0.000
Pb: 0.000 0.000 0.142
Pb: 0.000 0.000 0.285
Pb: 0.000 0.000 0.428
Pb: 0.000 0.000 0.714
Pb: 0.000 0.000 0.857
Pb: 0.667 0.333 0.571
I: 0.000 0.000 0.536
I: 0.333 0.667 0.035
I: 0.333 0.667 0.178
I: 0.333 0.667 0.320
I: 0.333 0.667 0.463
I: 0.333 0.667 0.606
I: 0.333 0.667 0.750
I: 0.333 0.667 0.892
I: 0.667 0.333 0.107
I: 0.667 0.333 0.250
I: 0.667 0.333 0.393
I: 0.667 0.333 0.679
I: 0.667 0.333 0.822
I: 0.667 0.333 0.965


Structure and theoretical XRD peak list of Rb2PuCl4O2 (a crystal structure in the Materials Project, relaxed with GGA-PBE; Cu Kα X-rays).
-- Wanted --
Next, find the line further above that holds "39.87", then restate that line and all lines after it there.
-- Completed --
| 39.87 | 25 |

Cell and atoms:
abc: 5.353 9.053 11.826
angles: 90.00 115.60 90.00
Positions (direct):
Li: 0.018 0.026 0.175
Li: 0.018 0.474 0.675
Li: 0.056 0.653 0.884
Li: 0.056 0.847 0.384
Li: 0.424 0.014 0.595
Li: 0.424 0.486 0.095
Li: 0.576 0.514 0.905
Li: 0.576 0.986 0.405
Li: 0.944 0.153 0.616
Li: 0.944 0.347 0.116
Li: 0.982 0.526 0.325
Li: 0.982 0.974 0.825
B: 0.040 0.171 0.379
B: 0.040 0.329 0.879
B: 0.469 0.172 0.133
B: 0.469 0.328 0.633
B: 0.531 0.672 0.367
B: 0.531 0.828 0.867
B: 0.960 0.671 0.121
B: 0.960 0.829 0.621
Sb: 0.474 0.673 0.626
Sb: 0.474 0.827 0.126
Sb: 0.526 0.173 0.874
Sb: 0.526 0.327 0.374
O: 0.066 0.184 0.844
O: 0.066 0.316 0.344
O: 0.168 0.642 0.082
O: 0.168 0.858 0.582
O: 0.212 0.058 0.378
O: 0.212 0.442 0.878
O: 0.312 0.668 0.400
O: 0.312 0.832 0.900
O: 0.332 0.044 0.140
O: 0.332 0.456 0.640
O: 0.374 0.196 0.664
O: 0.374 0.304 0.164
O: 0.626 0.696 0.836
O: 0.626 0.804 0.336
O: 0.668 0.544 0.360
O: 0.668 0.956 0.860
O: 0.688 0.168 0.100
O: 0.688 0.332 0.600
O: 0.788 0.558 0.122
O: 0.788 0.942 0.622
O: 0.832 0.142 0.418
O: 0.832 0.358 0.918
O: 0.934 0.684 0.656
O: 0.934 0.816 0.156


Structure and theoretical XRD peak list of Nb3Ni (a crystal structure in the Materials Project, relaxed with GGA-PBE; Cu Kα X-rays).
Intensities are scaled so that the largest is 100.

Most intense lines, 15° ≤ 2θ ≤ 90°, by angle:
| two_theta | intensity |
| --- | --- |
| 24.04 | 2 |
| 27.83 | 1 |
| 39.77 | 100 |
| 47.01 | 1 |
| 57.50 | 16 |
| 72.19 | 32 |
| 85.73 | 10 |

Cell and atoms:
abc: 4.533 4.533 4.533
angles: 60.00 60.00 60.00
Positions (direct):
Nb: 0.000 0.000 0.000
Nb: 0.250 0.250 0.250
Nb: 0.750 0.750 0.750
Ni: 0.500 0.500 0.500


Structure and theoretical XRD peak list of HgF2 (a crystal structure in the Materials Project, relaxed with GGA-PBE; Cu Kα X-rays).
Intensities are scaled so that the largest is 100.

Most intense lines, 15° ≤ 2θ ≤ 90°, by angle:
| two_theta | intensity |
| --- | --- |
| 26.59 | 47 |
| 28.68 | 92 |
| 29.98 | 43 |
| 30.60 | 100 |
| 40.50 | 46 |
| 44.30 | 35 |
| 52.43 | 26 |
| 53.62 | 26 |
| 54.41 | 34 |
| 57.09 | 29 |

Cell and atoms:
abc: 5.961 3.773 7.299
angles: 90.00 90.00 90.00
Positions (direct):
Hg: 0.242 0.250 0.107
Hg: 0.258 0.750 0.607
Hg: 0.742 0.250 0.393
Hg: 0.758 0.750 0.893
F: 0.013 0.250 0.836
F: 0.141 0.250 0.420
F: 0.359 0.750 0.920
F: 0.487 0.750 0.336
F: 0.513 0.250 0.664
F: 0.641 0.250 0.080
F: 0.859 0.750 0.580
F: 0.987 0.750 0.164


Structure and theoretical XRD peak list of PbI2 (a crystal structure in the Materials Project, relaxed with GGA-PBE; Cu Kα X-rays).
Intensities are scaled so that the largest is 100.

Most intense lines, 15° ≤ 2θ ≤ 90°, by angle:
| two_theta | intensity |
| --- | --- |
| 24.96 | 100 |
| 32.33 | 53 |
| 38.62 | 49 |
| 40.46 | 19 |
| 42.07 | 26 |
| 46.53 | 19 |
| 51.22 | 15 |
| 62.01 | 16 |
| 63.08 | 23 |
| 65.94 | 14 |

Cell and atoms:
abc: 4.663 4.663 53.260
angles: 90.00 90.00 120.00
Positions (direct):
Pb: 0.000 0.000 0.000
Pb: 0.000 0.000 0.142
Pb: 0.000 0.000 0.285
Pb: 0.000 0.000 0.428
Pb: 0.000 0.000 0.714
Pb: 0.000 0.000 0.857
Pb: 0.667 0.333 0.571
I: 0.000 0.000 0.536
I: 0.333 0.667 0.035
I: 0.333 0.667 0.178
I: 0.333 0.667 0.320
I: 0.333 0.667 0.463
I: 0.333 0.667 0.606
I: 0.333 0.667 0.750
I: 0.333 0.667 0.892
I: 0.667 0.333 0.107
I: 0.667 0.333 0.250
I: 0.667 0.333 0.393
I: 0.667 0.333 0.679
I: 0.667 0.333 0.822
I: 0.667 0.333 0.965


Structure and theoretical XRD peak list of Rb2PuCl4O2 (a crystal structure in the Materials Project, relaxed with GGA-PBE; Cu Kα X-rays).